Brief >
It remains to return the calculation results further down with every line break kept.

Given >
********
Entry from the Open Quantum Materials Database: an optimized crystal structure of NbFePt2 (PBE-GGA).

* energy of formation: -0.2599 eV/atom

Geometry as POSCAR:
```
NbFePt2
1.0
0.000 3.134 3.134
3.134 0.000 3.134
3.134 3.134 0.000
Nb Fe Pt
1 1 2
direct
0.000 0.000 0.000 Nb
0.250 0.250 0.250 Fe
0.500 0.500 0.500 Pt
0.750 0.750 0.750 Pt
```

---

Entry from the Open Quantum Materials Database: an optimized crystal structure of Sm2ErCu4Sn2Ge2 (PBE-GGA).

* final energy: -4.782 eV per atom

Geometry as POSCAR:
```
Sm2ErCu4Sn2Ge2
1.0
-2.209 3.346 7.286
2.209 -3.346 7.286
2.209 3.346 -7.286
Sm Er Cu Sn Ge
2 1 4 2 2
direct
0.127 0.127 0.000 Sm
0.873 0.873 0.000 Sm
0.500 0.000 0.500 Er
0.153 0.341 0.812 Cu
0.471 0.659 0.812 Cu
0.529 0.341 0.188 Cu
0.847 0.659 0.188 Cu
0.284 0.784 0.500 Sn
0.716 0.216 0.500 Sn
0.193 0.500 0.693 Ge
0.807 0.500 0.307 Ge
```

---

Entry from the Open Quantum Materials Database: an optimized crystal structure of Sc5In4Pd2 (PBE-GGA).

* final energy: -5.478 eV per atom

Geometry as POSCAR:
```
Sc5In4Pd2
1.0
7.727 0.000 0.000
0.000 17.613 0.000
0.000 0.000 3.389
Sc In Pd
10 8 4
direct
0.000 0.000 0.000 Sc
0.125 0.419 0.000 Sc
0.250 0.219 0.000 Sc
0.250 0.719 0.000 Sc
0.375 0.919 0.000 Sc
0.500 0.500 0.000 Sc
0.625 0.081 0.000 Sc
0.750 0.281 0.000 Sc
0.750 0.781 0.000 Sc
0.875 0.581 0.000 Sc
0.075 0.851 0.500 In
0.206 0.567 0.500 In
0.294 0.067 0.500 In
0.425 0.351 0.500 In
0.575 0.649 0.500 In
0.706 0.933 0.500 In
0.794 0.433 0.500 In
0.925 0.149 0.500 In
0.038 0.306 0.500 Pd
0.462 0.806 0.500 Pd
0.538 0.194 0.500 Pd
0.962 0.694 0.500 Pd
```

---

Entry from the Open Quantum Materials Database: an optimized crystal structure of ScNiSnPt (PBE-GGA).

* distance to the lowest polymorph of the same formula: 0 meV per atom

Geometry as POSCAR:
```
ScNiSnPt
1.0
0.000 3.229 3.229
3.229 0.000 3.229
3.229 3.229 0.000
Sc Ni Sn Pt
1 1 1 1
direct
0.000 0.000 0.000 Sc
0.750 0.750 0.750 Ni
0.500 0.500 0.500 Sn
0.250 0.250 0.250 Pt
```

---

Entry from the Open Quantum Materials Database: an optimized crystal structure of LaMgTcTe (PBE-GGA).

* distance to the lowest polymorph of the same formula: 0 meV per atom

Geometry as POSCAR:
```
LaMgTcTe
1.0
0.000 3.496 3.496
3.496 0.000 3.496
3.496 3.496 0.000
La Mg Tc Te
1 1 1 1
direct
0.000 0.000 0.000 La
0.250 0.250 0.250 Mg
0.750 0.750 0.750 Tc
0.500 0.500 0.500 Te
```

---

Entry from the Open Quantum Materials Database: an optimized crystal structure of TmCuPbSe2S (PBE-GGA).

* final energy: -4.876 eV per atom

Geometry as POSCAR:
```
TmCuPbSe2S
1.0
1.999 -6.748 0.000
1.999 6.748 0.000
0.000 0.000 10.145
Tm Cu Pb Se S
2 2 2 4 2
direct
0.000 0.000 0.000 Tm
0.000 0.000 0.500 Tm
0.473 0.527 0.750 Cu
0.527 0.473 0.250 Cu
0.256 0.744 0.250 Pb
0.744 0.256 0.750 Pb
0.358 0.642 0.561 Se
0.358 0.642 0.939 Se
0.642 0.358 0.061 Se
0.642 0.358 0.439 Se
0.070 0.930 0.750 S
0.930 0.070 0.250 S
```

---

Entry from the Open Quantum Materials Database: an optimized crystal structure of KW3Cl (PBE-GGA).

* final energy: -6.263 eV per atom

Geometry as POSCAR:
```
KW3Cl
1.0
4.570 0.000 0.000
0.000 4.570 0.000
0.000 0.000 4.570
K W Cl
1 3 1
direct
0.000 0.000 0.000 K
0.000 0.500 0.500 W
0.500 0.000 0.500 W
0.500 0.500 0.000 W
0.500 0.500 0.500 Cl
```

---

Entry from the Open Quantum Materials Database: an optimized crystal structure of Zr3H4Se6O25 (PBE-GGA).

* final energy: -6.126 eV per atom

Geometry as POSCAR:
```
Zr3H4Se6O25
1.0
5.236 0.000 0.000
0.069 7.956 0.000
0.526 1.510 11.792
Zr H Se O
3 4 6 25
direct
0.000 0.000 0.000 Zr
0.304 0.601 0.696 Zr
0.690 0.429 0.314 Zr
0.235 0.951 0.597 H
0.425 0.939 0.698 H
0.574 0.088 0.306 H
0.758 0.077 0.408 H
0.170 0.300 0.507 Se
0.222 0.373 0.118 Se
0.488 0.837 0.183 Se
0.523 0.187 0.823 Se
0.755 0.618 0.894 Se
0.825 0.725 0.499 Se
0.027 0.454 0.215 O
0.082 0.191 0.100 O
0.124 0.673 0.534 O
0.212 0.348 0.637 O
0.224 0.116 0.861 O
0.234 0.103 0.492 O
0.247 0.502 0.002 O
0.282 0.878 0.668 O
0.327 0.871 0.063 O
0.356 0.925 0.287 O
********

Worked solution >
Entry from the Open Quantum Materials Database: an optimized crystal structure of NbFePt2 (PBE-GGA).

* energy of formation: -0.2599 eV/atom

Geometry as POSCAR:
```
NbFePt2
1.0
0.000 3.134 3.134
3.134 0.000 3.134
3.134 3.134 0.000
Nb Fe Pt
1 1 2
direct
0.000 0.000 0.000 Nb
0.250 0.250 0.250 Fe
0.500 0.500 0.500 Pt
0.750 0.750 0.750 Pt
```

---

Entry from the Open Quantum Materials Database: an optimized crystal structure of Sm2ErCu4Sn2Ge2 (PBE-GGA).

* final energy: -4.782 eV per atom

Geometry as POSCAR:
```
Sm2ErCu4Sn2Ge2
1.0
-2.209 3.346 7.286
2.209 -3.346 7.286
2.209 3.346 -7.286
Sm Er Cu Sn Ge
2 1 4 2 2
direct
0.127 0.127 0.000 Sm
0.873 0.873 0.000 Sm
0.500 0.000 0.500 Er
0.153 0.341 0.812 Cu
0.471 0.659 0.812 Cu
0.529 0.341 0.188 Cu
0.847 0.659 0.188 Cu
0.284 0.784 0.500 Sn
0.716 0.216 0.500 Sn
0.193 0.500 0.693 Ge
0.807 0.500 0.307 Ge
```

---

Entry from the Open Quantum Materials Database: an optimized crystal structure of Sc5In4Pd2 (PBE-GGA).

* final energy: -5.478 eV per atom

Geometry as POSCAR:
```
Sc5In4Pd2
1.0
7.727 0.000 0.000
0.000 17.613 0.000
0.000 0.000 3.389
Sc In Pd
10 8 4
direct
0.000 0.000 0.000 Sc
0.125 0.419 0.000 Sc
0.250 0.219 0.000 Sc
0.250 0.719 0.000 Sc
0.375 0.919 0.000 Sc
0.500 0.500 0.000 Sc
0.625 0.081 0.000 Sc
0.750 0.281 0.000 Sc
0.750 0.781 0.000 Sc
0.875 0.581 0.000 Sc
0.075 0.851 0.500 In
0.206 0.567 0.500 In
0.294 0.067 0.500 In
0.425 0.351 0.500 In
0.575 0.649 0.500 In
0.706 0.933 0.500 In
0.794 0.433 0.500 In
0.925 0.149 0.500 In
0.038 0.306 0.500 Pd
0.462 0.806 0.500 Pd
0.538 0.194 0.500 Pd
0.962 0.694 0.500 Pd
```

---

Entry from the Open Quantum Materials Database: an optimized crystal structure of ScNiSnPt (PBE-GGA).

* distance to the lowest polymorph of the same formula: 0 meV per atom

Geometry as POSCAR:
```
ScNiSnPt
1.0
0.000 3.229 3.229
3.229 0.000 3.229
3.229 3.229 0.000
Sc Ni Sn Pt
1 1 1 1
direct
0.000 0.000 0.000 Sc
0.750 0.750 0.750 Ni
0.500 0.500 0.500 Sn
0.250 0.250 0.250 Pt
```

---

Entry from the Open Quantum Materials Database: an optimized crystal structure of LaMgTcTe (PBE-GGA).

* distance to the lowest polymorph of the same formula: 0 meV per atom

Geometry as POSCAR:
```
LaMgTcTe
1.0
0.000 3.496 3.496
3.496 0.000 3.496
3.496 3.496 0.000
La Mg Tc Te
1 1 1 1
direct
0.000 0.000 0.000 La
0.250 0.250 0.250 Mg
0.750 0.750 0.750 Tc
0.500 0.500 0.500 Te
```

---

Entry from the Open Quantum Materials Database: an optimized crystal structure of TmCuPbSe2S (PBE-GGA).

* final energy: -4.876 eV per atom

Geometry as POSCAR:
```
TmCuPbSe2S
1.0
1.999 -6.748 0.000
1.999 6.748 0.000
0.000 0.000 10.145
Tm Cu Pb Se S
2 2 2 4 2
direct
0.000 0.000 0.000 Tm
0.000 0.000 0.500 Tm
0.473 0.527 0.750 Cu
0.527 0.473 0.250 Cu
0.256 0.744 0.250 Pb
0.744 0.256 0.750 Pb
0.358 0.642 0.561 Se
0.358 0.642 0.939 Se
0.642 0.358 0.061 Se
0.642 0.358 0.439 Se
0.070 0.930 0.750 S
0.930 0.070 0.250 S
```

---

Entry from the Open Quantum Materials Database: an optimized crystal structure of KW3Cl (PBE-GGA).

* final energy: -6.263 eV per atom

Geometry as POSCAR:
```
KW3Cl
1.0
4.570 0.000 0.000
0.000 4.570 0.000
0.000 0.000 4.570
K W Cl
1 3 1
direct
0.000 0.000 0.000 K
0.000 0.500 0.500 W
0.500 0.000 0.500 W
0.500 0.500 0.000 W
0.500 0.500 0.500 Cl
```

---

Entry from the Open Quantum Materials Database: an optimized crystal structure of Zr3H4Se6O25 (PBE-GGA).

* final energy: -6.126 eV per atom

Geometry as POSCAR:
```
Zr3H4Se6O25
1.0
5.236 0.000 0.000
0.069 7.956 0.000
0.526 1.510 11.792
Zr H Se O
3 4 6 25
direct
0.000 0.000 0.000 Zr
0.304 0.601 0.696 Zr
0.690 0.429 0.314 Zr
0.235 0.951 0.597 H
0.425 0.939 0.698 H
0.574 0.088 0.306 H
0.758 0.077 0.408 H
0.170 0.300 0.507 Se
0.222 0.373 0.118 Se
0.488 0.837 0.183 Se
0.523 0.187 0.823 Se
0.755 0.618 0.894 Se
0.825 0.725 0.499 Se
0.027 0.454 0.215 O
0.082 0.191 0.100 O
0.124 0.673 0.534 O
0.212 0.348 0.637 O
0.224 0.116 0.861 O
0.234 0.103 0.492 O
0.247 0.502 0.002 O
0.282 0.878 0.668 O
0.327 0.871 0.063 O
0.356 0.925 0.287 O